View Full Version : I went to the Dark Side- I am not here to gloat.

gun papa
04-09-2015, 02:23 PM
Well Gents, after a lot of patience with the P380 and CW380, and after much study, I bought a Glock 42. I like the .380acp cartridge, and have been loading it for at least 20 years.

I will keep the CW380 and hope that Kahr silently redesigns the frail striker, or an aftermarket striker comes about. I may send the CW back to Kahr again regarding the gun not locking the slide back, even after I believe that it was impossible that they corrected this issue, only for it to continue to fail to lock back once returned. I do like the CW380 concept.

The Glock 42 that I bought has all of the silent rumored upgrades, i.e frame, magazine, slide lock lever, per the article on looserounds.com. I know that the Glock 42 is almost a whole inch longer, and that negates at least one concealment option that is a benefit with the CW380.

I took the Glock out and shot it with everything I could get my hands on, and I had no issues, including Hydra-Shok (not pictured) and handloads. THE SLIDE EVEN LOCKED BACK EVERY TIME! I like it. I am not going to try to influence the Wife to trade her P380 for a Glock 42, but she will shoot them side by side and make her own choice.

This came down mainly to the broken striker issue for me. It really bothers me. I cant get back into the fight with a broken gun.

The G42 really likes PDX1 and also the HPR which seems to have great penetration upwards of 14inches and is priced super reasonably at Sportsmans Warehouse. In tests I have watched the round penetrates excellent for a .380, but does not expand well through 4 layers of thick Denim. Good to know if you may have to shoot someone from Canada. Who wears jean jackets anymore anyhow?

I took out the serial number but left the lettered prefix just in case someone is curious.
http://i4.photobucket.com/albums/y131/gunpapa/G42%201_zpsib9clb5l.jpg (http://s4.photobucket.com/user/gunpapa/media/G42%201_zpsib9clb5l.jpg.html)

Let me know if Kahr fixes its strikers. papa

04-09-2015, 02:35 PM
I honestly can't blame you, for I too bought a Glock 42 last month in response to the frustration I've had with my P380. I'm hoping the MagGuts kits I installed in the Kahr magazines help improve the reliability. The G42 has been nearly perfect except for some issues with the slide locking back prematurely, which I fixed after some minor tuning of the slide stop.

04-09-2015, 02:49 PM
I went to the dark side as well, kind of, and bought a used, like new G23 with an extra LW 40-9 conversion barrel and night sights. Lot of firepower in such small 40. So as I sit, I've got the G23 tucked IWB at 4 oclock and the Kahr CW-380 + extra mag in my back pocket, an extra 13 round glock mag and 7 round Kahr mag in my front pocket.... for a total of 27 rounds of .40 and 22 rounds of .380, or 49 rounds overall (for those who can't add ;^) ). Would be another 4 rounds if I used 9mm rather than .40.

Thing is, no one in my family notices I'm carrying anything, period.

Figure I probably end up using the Kahr with summer clothes, and carry the G23 whenever practical.

The G23 came with a King Tuc by Galco IWB holster, which is pretty comfortable, and I had already ordered an Alien Gear IWB tuckable holster for my G17, which is also about as comfortable. The Galco is probably better, but the Alien Gear is very versatile, as I can switch the shell on it for a CW-380 shell (which I bought as an accessory).

I like the combo very much.

gun papa
04-09-2015, 03:16 PM
I honestly can't blame you, for I too bought a Glock 42 last month in response to the frustration I've had with my P380. I'm hoping the MagGuts kits I installed in the Kahr magazines help improve the reliability. The G42 has been nearly perfect except for some issues with the slide locking back prematurely, which I fixed after some minor tuning of the slide stop.

Please explain the tuning.

**Calculated crystals, kept here for reference:**
/*
# 1
CsNpO3 | PBE | relaxed

Results
- calculated formation energy (eV/f.u.) = -14.92

Unit cell a=4.391 b=4.391 c=4.391 alpha=90.00 beta=90.00 gamma=90.00
Fractional coordinates of all 5 atoms:
O 0.500 0.000 0.500
O 0.000 0.500 0.500
O 0.500 0.500 0.000
Cs 0.000 0.000 0.000
Np 0.500 0.500 0.500



# 2
Gd2MgNi2 | PBE | relaxed

Results
- calculated formation energy (eV/f.u.) = -1.79

Unit cell a=7.367 b=7.367 c=3.798 alpha=90.00 beta=90.00 gamma=90.00
Fractional coordinates of all 10 atoms:
Gd 0.826 0.674 0.500
Gd 0.174 0.326 0.500
Gd 0.326 0.826 0.500
Gd 0.674 0.174 0.500
Ni 0.120 0.620 0.000
Ni 0.380 0.120 0.000
Ni 0.880 0.380 0.000
Ni 0.620 0.880 0.000
Mg 0.000 0.000 0.000
Mg 0.500 0.500 0.000



# 3
GdAu | PBE | relaxed

Results
- calculated formation energy (eV/f.u.) = -1.66

Unit cell a=3.651 b=3.651 c=3.651 alpha=90.00 beta=90.00 gamma=90.00
Fractional coordinates of all 2 atoms:
Gd 0.000 0.000 0.000
Au 0.500 0.500 0.500



# 4
BiP4O12 | PBE | relaxed

Results
- calculated formation energy (eV/f.u.) = -40.35
- distance to the lowest polymorph of the same formula (kJ per mole of atoms) = 1.0

Unit cell a=13.369 b=7.321 c=12.122 alpha=54.31 beta=90.00 gamma=90.00
Fractional coordinates of all 68 atoms:
P 0.374 0.158 0.197
P 0.626 0.842 0.803
P 0.602 0.506 0.745
P 0.102 0.494 0.755
P 0.408 0.940 0.795
P 0.113 0.392 0.231
P 0.092 0.940 0.295
P 0.613 0.608 0.269
P 0.887 0.608 0.769
P 0.387 0.392 0.731
P 0.398 0.494 0.255
P 0.898 0.506 0.245
P 0.592 0.060 0.205
P 0.126 0.158 0.697
P 0.908 0.060 0.705
P 0.874 0.842 0.303
O 0.630 0.016 0.651
O 0.019 0.142 0.642
O 0.488 0.427 0.787
O 0.355 0.604 0.599
O 0.342 0.856 0.915
O 0.834 0.300 0.297
O 0.145 0.604 0.099
O 0.519 0.858 0.858
O 0.870 0.016 0.151
O 0.512 0.573 0.213
O 0.080 0.212 0.202
O 0.920 0.788 0.798
O 0.390 0.308 0.406
O 0.811 0.708 0.656
O 0.794 0.839 0.389
O 0.855 0.396 0.901
O 0.390 0.873 0.701
O 0.658 0.144 0.085
O 0.623 0.593 0.837
O 0.370 0.984 0.349
O 0.110 0.308 0.906
O 0.334 0.700 0.203
O 0.311 0.292 0.844
O 0.377 0.407 0.163
O 0.689 0.708 0.156
O 0.706 0.839 0.889
O 0.988 0.573 0.713
O 0.890 0.692 0.094
O 0.890 0.127 0.799
O 0.158 0.856 0.415
O 0.189 0.292 0.344
O 0.130 0.984 0.849
O 0.610 0.127 0.299
O 0.420 0.212 0.702
O 0.206 0.161 0.611
O 0.166 0.700 0.703
O 0.294 0.161 0.111
O 0.610 0.692 0.594
O 0.012 0.427 0.287
O 0.481 0.142 0.142
O 0.842 0.144 0.585
O 0.123 0.407 0.663
O 0.877 0.593 0.337
O 0.110 0.873 0.201
O 0.981 0.858 0.358
O 0.666 0.300 0.797
O 0.580 0.788 0.298
O 0.645 0.396 0.401
Bi 0.276 0.961 0.522
Bi 0.224 0.961 0.022
Bi 0.776 0.039 0.978
Bi 0.724 0.039 0.478



# 5
RbGeI3 | PBE | relaxed

Results
- calculated formation energy (eV/f.u.) = -5.11

Unit cell a=5.956 b=5.956 c=5.956 alpha=90.00 beta=90.00 gamma=90.00
Fractional coordinates of all 5 atoms:
Rb 0.500 0.500 0.500
I 0.000 0.500 0.000
I 0.000 0.000 0.500
I 0.500 0.000 0.000
Ge 0.000 0.000 0.000



# 6
InPd3 | PBE | relaxed

Results
- calculated formation energy (eV/f.u.) = -1.74
*/

04-09-2015, 03:17 PM
I understand your frustration. I bought a P938 and have been carrying it along alternating with the occasional P380 carry. I've put about 400 round through the 380 since its third striker replacement and was trusting it. Today I got a few light strikes with three different types of ammo. Once, the trigger didn't reset! I be starting a new thread, but I'd like you guys to check my cam...

04-09-2015, 04:25 PM
Please explain the tuning.

Basically, it involves additional filing of the tab that engages the follower and pinching the slide stop thumbpiece so that it can't move side-to-side. It took a little trial and error before getting it so that the slide stop still engages the follower, yet bullets won't bump the tab and cause it to lock open with rounds still in the mag.

04-09-2015, 04:30 PM
I will keep the CW380 and hope that Kahr silently redesigns the frail striker, or an aftermarket striker comes about. I may send the CW back to Kahr again regarding the gun not locking the slide back, even after I believe that it was impossible that they corrected this issue, only for it to continue to fail to lock back once returned. I do like the CW380 concept

With all the negative posts, I keep waiting for something to go seriously wrong with my CW380 or P380 and it never does. No issue with my strikers and the CW is one I got from Kentucky Gun Co when they were having the crazy sale. I was sorta expecting maybe it was from a bad batch because they were almost giving them away- under 240 at the time- but no issues.

I'm a Glock fan and the 42 seems like a fine weapon, so congrats. Since you're keeping the CW380, and you've got the G42 to carry, why not keep sending the CW380 back? Insist they pay the freight, since its never been right. What's there to lose?

04-09-2015, 06:39 PM
The CW/P380 is still more pocketable than the G42 and has the same amount of firepower (or lack thereof, depending on your perspective), so I want to keep mine for those hot summer days when I am wearing shorts. The G42 weighs a few more ounces and is noticeably longer, so it's not quite as easy to deep conceal.

gun papa
04-09-2015, 07:46 PM
The CW/P380 is still more pocketable than the G42 and has the same amount of firepower (or lack thereof, depending on your perspective), so I want to keep mine for those hot summer days when I am wearing shorts. The G42 weighs a few more ounces and is noticeably longer, so it's not quite as easy to deep conceal.
Agree with all of this. This is partially why I am keeping CW 380

04-09-2015, 08:09 PM
Very hard to beat a Glock. The 43 will sell like crazy

04-09-2015, 09:46 PM
I was looking at the G42 in the store the other day, It was nice. I still ain't buying one. ;)

gun papa
04-09-2015, 10:55 PM
Very hard to beat a Glock. The 43 will sell like crazy

The G42 may go to the Wife when the G43 is worked out.

04-10-2015, 03:23 AM
Never been a fan of ugly guns, but Let me help all of you out with proper cleaning of Glocks!


04-10-2015, 08:00 AM
The possibility of a broken gun is the main reason that I carry two of them and both of them have KAHR stamped on them. No dark side for old Muggsy. And I'm not dressing like Ashley just to clean a gun, unless I absolutely have to. :)

04-10-2015, 08:11 AM
She was cleaning a gun? I didn't notice.

gun papa
04-10-2015, 02:54 PM
Well that didn't take long. Started her out with a .22lr to warm up, then to her DEFENSIVE Gun, the Kahr P380 which FAILED TO FIRE on the second round. I gave her the G42, and she proceeds to put 6 in the TBOX. She ditched the Kahr after the first magazine.

http://i4.photobucket.com/albums/y131/gunpapa/20150410_120700_zpse8knq8hy.jpg (http://s4.photobucket.com/user/gunpapa/media/20150410_120700_zpse8knq8hy.jpg.html)

04-10-2015, 03:16 PM
Run for your lives, looks like a big rock avalanche coming your way. Hope you get out in time.

04-10-2015, 03:18 PM
Prototypes are on the way for a striker, and spacer, that I don't think you could ever break. Stay tuned.

04-10-2015, 03:30 PM
Never been a fan of ugly guns, but Let me help all of you out with proper cleaning of Glocks!


Huh....I've always just tossed mine in the dishwasher. Unloaded, of course....hate replacing dishwashers and unSafeAction isn't to be trusted.

gun papa
04-10-2015, 03:35 PM
Prototypes are on the way for a striker, and spacer, that I don't think you could ever break. Stay tuned.
Man, I hope that is true.

04-10-2015, 03:36 PM
Huh....I've always just tossed mine in the dishwasher. Unloaded, of course....hate replacing dishwashers and unSafeAction isn't to be trusted.

Plus her mammory glands are too big!

04-10-2015, 04:08 PM
Run for your lives, looks like a big rock avalanche coming your way. Hope you get out in time.

That made me look at the photo again. You're right! I hope they all got out okay. :)

04-10-2015, 06:09 PM
So...I guess maybe I went to the gray side? :rolleyes: Have an lcp that's very easy to carry and been reliable out of the box.